Dear Srila Prabhupada,
Please accept my humble obeisances at your lotus feet on this auspicious occasion of your Vyasa-puja 2000.
Here in India we are getting a lot of very encouraging preaching results, and in that regard your preaching mission is being accomplished. The book distribution is ever increasing. I had the honor of handing out first prize to the leading Srimad-Bhagavatam set distributor, a devotee from Mayapur. You always encouraged standing orders and set distribution, and ISKCON Mayapur and ISKCON Bombay have been the world champions for so many years. Even our Padayatra India is at the top in the small-temple category of book distribution.
-- These crystal structures were left in the article by mistake --
~~~
1.
DFT (PBE) results for a geometry-optimized Li2ScNbMo structure.

Cell and atoms, written as extended XYZ:
```
5
Lattice="4.577 0.000 0.000 0.000 4.577 0.000 0.000 0.000 4.651" Properties=species:S:1:pos:R:3 pbc="T T T"
Li 0.000 2.289 0.000
Li 2.289 0.000 0.000
Sc 0.000 0.000 2.325
Nb 2.289 2.289 2.325
Mo 0.000 0.000 0.000
```

Values from the calculation:
Uncorrected energy   -24.05 eV per cell
Total magnetization   0.0 μB per cell
DOS at the Fermi energy   6.6 states/eV/f.u.
Energy relative to the elements   1402 meV/atom

2.
DFT (PBE) results for a geometry-optimized LiTiNbMo structure.

Cell and atoms, written as extended XYZ:
```
4
Lattice="0.000 3.180 3.180 3.180 0.000 3.180 3.180 3.180 0.000" Properties=species:S:1:pos:R:3 pbc="T T T"
Li 0.000 0.000 0.000
Ti 1.590 1.590 1.590
Nb 4.771 4.771 4.771
Mo 3.180 3.180 3.180
```

Values from the calculation:
Uncorrected energy   -30.20 eV per cell
Total magnetization   0.0 μB per cell
DOS at the Fermi energy   4.4 states/eV/f.u.
Energy relative to the elements   127 meV/atom

3.
DFT (PBE) results for a geometry-optimized LiNbVMo2 structure.

Cell and atoms, written as extended XYZ:
```
5
Lattice="4.512 0.000 0.000 0.000 4.512 0.000 0.000 0.000 4.194" Properties=species:S:1:pos:R:3 pbc="T T T"
Li 0.000 0.000 0.000
Nb 2.256 2.256 0.000
V 0.000 0.000 2.097
Mo 0.000 2.256 2.097
Mo 2.256 0.000 2.097
```

Values from the calculation:
Uncorrected energy   -37.24 eV per cell
Total magnetization   0.0 μB per cell
DOS at the Fermi energy   3.8 states/eV/f.u.
Energy relative to the elements   1105 meV/atom

----------

1.
# CdClO

A geometry-optimized CdClO structure (GGA-PBE, the Alexandria database).

Lattice parameters (Å, degrees): 7.288 3.752 9.750 90.00 109.62 90.00
Space group C2/m (No. 12)
Asymmetric unit:
Cd  0.113  0.000  0.336 (multiplicity 4)
Cl  0.236  0.500  0.191 (multiplicity 4)
O  0.085  0.500  0.474 (multiplicity 4)

## Properties
For the energy relative to the lowest polymorph listed for this composition, the calculation gives 0.0 meV/atom. The density of states at the Fermi level comes out at 0.00 states/eV/f.u. Its spin magnetization is 0.000 Bohr magnetons per cell. The uncorrected formation energy comes out at -822 meV per atom.



2.
# CdCl3O

A geometry-optimized CdCl3O structure (GGA-PBE, the Alexandria database).

Lattice parameters (Å, degrees): 5.194 5.194 5.194 90.00 90.00 90.00
Space group Pm-3m (No. 221)
Asymmetric unit:
Cd  0.000  0.000  0.000 (multiplicity 1)
Cl  0.000  0.000  0.500 (multiplicity 3)
O  0.500  0.500  0.500 (multiplicity 1)

## Properties
For the energy relative to the lowest polymorph listed for this composition, the calculation gives 0.0 meV/atom. The density of states at the Fermi level comes out at 11.44 states/eV/f.u. Its spin magnetization is 3.000 Bohr magnetons per cell. The uncorrected formation energy comes out at 223 meV per atom.



3.
# Cd4Cl3O2

A geometry-optimized Cd4Cl3O2 structure (GGA-PBE, the Alexandria database).
~~~
Having used the first Padayatra chariot for almost sixteen years, we recently offered a new chariot to the Padayatra Deities, Sri Sri Nitai-Gaurasundara. During my lecture on the occasion, I shared my realization of how every day, an average of 100 Bhagavad-gitas are distributed by padayatris in remote villages of India. The people of these villages buy a Bhagavad-gita only once in their lifetime, and because to them it is a good sum of money they don’t purchase another edition. If someone proposes to sell them another one they say, “I already have a Bhagavad-gita.” So this means your Bhagavad-gita As It Is is the only one in their possession and will be in their homes and hearts for generations. Padayatris have been going to 1,000 villages a year, visiting with the residents and distributing books. You can imagine the results in due course of time as the padayatris go on planting thousands and thousands of Gitas.
A short time ago we celebrated the twenty-fifth anniversary of the opening of the Krsna-Balarama temple, and on the occasion we read the following statement you made on April 20th, 1975: “ The movement is undoubtedly increasing in foreign countries, why not in our country? The government, the leaders, and the guardians, they should deeply contemplate on the serious nature of this movement and help us. Now we are bringing men from the foreign countries to preach. How long I shall bring? If we want to spread this movement all over India very seriously, we invite all educated intellectual young men to come forward.”
So that is happening now. Do you remember how they used to call our temple Angreji Mandir (English temple)? The sole reason was because during those early years when you were establishing the Krsna-Balarama temple, you had only the assistance of Western devotees. Seeing most devotees running the temple were Westerners, the locals and visitors naturally thought of it as an English temple. But now things have reversed. Now ninety percent of the residents of the Krsna-Balarama temple are Indians, and our temple in vrindavana is becoming known as the ISKCON temple or Krsna-Balarama temple. On the occasion of Ratha-yatra in Kuruksetra, I attended the Kuruksetra temple’s pandal, at which thousands were in the audience. Saksi Gopala Prabhu, the temple president, informed me, ”Maharaja, more than half these people are chanting Hare Krsna on beads.” I was highly pleased to hear that. Only five or ten years ago hardly anyone knew the maha-mantra, but now there are thousands who are taking vows to chant a fixed number of rounds.
In Juhu, Bombay, there are many temple projects coming up. The Bombay team, headed by Bhima and Devakinandana Prabhus, seem to be moving forward with plans to build another huge temple complex in the back of the existing temple. I was thinking it is like your formula of “Double it!”- they are applying it to temple construction. The Delhi, Bangalore, Baroda, and Ahmadabad temples are all now fully operational, and several mare temples are on the way, in particular the Mayapur Temple of the Vedic Planetarium. There seems to be progress on various fronts, such as book distribution, devotee-making, congregational development, and temple construction. These are the wonderful offerings made to you on this day of your appearance, the day after Krsna’s appearance.
On another front, there are also a lot of things that are a cause for a lot of concern and anxiety. Arguments and quarrels, hypocrisy, politics, fratricidal war, loss of faith, anarthas and ill motives, suicide attempts, court cases, fault-finding and gossiping, confusion and bewilderment. It sounds like kaler dosanidhe rajann: “This age of Kali is full of faults.” In 1977 in Bombay you have a pandal lecture series titled “Modern-Day Civilization Is a Total Failure; the Only Solution Is Krsna Consciousness.” We always thought the faults of this age were present only in “karmi” society. But currently these faults seem to have infiltrated the lives, thoughts, and actions of our own devotees. We seem to be ineffective and powerless to fight against these anti-Krsna conscious forces and personalities.
Srila Prabhupada. I am feeling helpless on the occasion of your appearance day, and I am rushing to your feet and begging for your mercy, your intervention, for my empowerment so that we can flush out anything and everything that is checking the progress of your Krsna consciousness movement. Prabhupada, you would never tolerate these disturbances if you were physically present. You would have fought tooth and nail. You would have not left any stone unturned. You would have spent sleepless nights to find the solutions. Srila Prabhupada, you are here. Please continue to direct and inspire us so that we can preserve your great movement and propagate Krsna consciousness, the gift of the holy name. You are an empowered representative of Caitanya Mahaprabhu, the sena-pati bhakta. Please, O Commander-in-Chief of the sankirtana army, is the most compassionate Sri Krsna Caitanya Mahaprabhu not compassionate anymore? Of course, I can’t doubt His magnanimity, but seeing the circumstances around us, faithless persons like I begin to wonder, “Why is Sri Krsna Caitanya Mahaprabhu not doing anything to crush all the nonsense that is going on in the midst of this Krsna consciousness movement?” If the Krsna consciousness movement does not do yare dekha, tare kaha ‘krsna’-upadesa, purely and forcefully, then who else will? Srila Prabhupada, you always said, “The Hare Krsna movement is good for everyone, and it will benefit the whole world.” There is no alternative to this movement. Please, please protect and purify us, your movement. This is our desperate plea. With a straw between my teeth I beg you. Please give us intelligence and purity of purpose so we can give a befitting fight to the enemies of the Krsna consciousness movement. The worst enemy is the enemy that is hidden within us, hidden within the members of the Krsna consciousness movement. You said we couldn’t be defeated by any outside forces. You said the most dangerous thing is the internal fight. This would ruin us. Srila Prabhupada, I can’t tolerate to see this happening in front of my eyes. I can’t stand it, but what can I do without your mercy? It is all that we are made of.
Materials data, kept here for reference >
<<<
This record from Alexandria describes a relaxed structure of Zn2GaH2. The functional is PBE-GGA.

Computed properties:
Density (g/cm³): 5.75
Energy relative to the lowest polymorph listed for this composition (eV/f.u.): 0.87

Lattice parameters (Å, degrees): 6.7508 6.7508 2.5651 90.00 90.00 90.00
Last column: nearest neighbours and their distance in Å.
Positions (direct):
Ga  0.5000  0.5000  0.0000  2 Ga 2.57, 4 H 2.70
Ga  0.0000  0.0000  0.0000  2 Ga 2.57, 4 H 2.70
Zn  0.3620  0.1380  0.5000  4 H 2.16
Zn  0.1380  0.6380  0.5000  4 H 2.16
Zn  0.8620  0.3620  0.5000  4 H 2.16
Zn  0.6380  0.8620  0.5000  4 H 2.16
H  0.1187  0.3813  0.0000  4 Zn 2.16, 1 H 2.27
H  0.8813  0.6187  0.0000  4 Zn 2.16, 1 H 2.27
H  0.6187  0.1187  0.0000  4 Zn 2.16, 1 H 2.27
H  0.3813  0.8813  0.0000  4 Zn 2.16, 1 H 2.27

~~~~~

VASP calculation (PBE-GGA) on an optimized crystal structure of Sb2TeCl.

Summary:
Theoretical density ... 6.21 g/cm³
Uncorrected formation energy ... -86 meV/atom
Distance to the lowest polymorph of the same formula ... 0.0722 eV per atom

abc: 3.167 4.871 7.050
angles: 90.00 90.00 90.00
Space group Pmmm (No. 47)
One atom of each set of equivalent atoms:
Sb: 0.000 0.000 0.215
Te: 0.000 0.500 0.500
Cl: 0.500 0.500 0.000

VASP calculation (PBE-GGA) on an optimized crystal structure of NbPt3Rh3.

Summary:
ΔH_f (0 K) ... 0.299 eV/atom
Theoretical density ... 10.75 g/cm³
Distance to the lowest polymorph of the same formula ... 0.4311 eV per atom

abc: 11.4199 11.4199 2.7003
angles: 90.00 90.00 120.00
Space group P6_3/m (No. 176)
One atom of each set of equivalent atoms:
Nb: 0.3333 0.6667 0.2500
Pt: 0.1399 0.4101 0.2500
Rh: 0.0758 0.6118 0.2500

VASP calculation (PBE-GGA) on an optimized crystal structure of Ca2YHfAs4.

Summary:
ΔH_f (0 K) ... -1.186 eV/atom
Theoretical density ... 5.50 g/cm³

abc: 7.042 4.041 7.252
angles: 90.00 108.64 90.00
Space group P2/m (No. 10)
One atom of each set of equivalent atoms:
Ca: 0.000 0.000 0.000
Ca: 0.500 0.500 0.000
Y: 0.000 0.500 0.500
Hf: 0.500 0.000 0.500
As: 0.258 0.000 0.732
As: 0.270 0.500 0.274

VASP calculation (PBE-GGA) on an optimized crystal structure of Tb5ScBi4.

Summary:
ΔH_f (0 K) ... -0.465 eV/atom
Theoretical density ... 8.40 g/cm³

abc: 18.901 4.368 8.382
angles: 90.00 106.73 90.00
Space group C2/m (No. 12)
One atom of each set of equivalent atoms:
Tb: 0.000 0.000 0.000
Tb: 0.165 0.500 0.302
Tb: 0.182 0.500 0.849
Sc: 0.000 0.000 0.500
Bi: 0.010 0.500 0.749
Bi: 0.164 0.000 0.571

Please write out number 1 again, unchanged.
VASP calculation (PBE-GGA) on an optimized crystal structure of Sb2TeCl.

Summary:
Theoretical density ... 6.21 g/cm³
Uncorrected formation energy ... -86 meV/atom
Distance to the lowest polymorph of the same formula ... 0.0722 eV per atom

abc: 3.167 4.871 7.050
angles: 90.00 90.00 90.00
Space group Pmmm (No. 47)
One atom of each set of equivalent atoms:
Sb: 0.000 0.000 0.215
Te: 0.000 0.500 0.500
Cl: 0.500 0.500 0.000

~~~~~

1.
>>>
Begging for your mercy, I remain
Your unworthy servant
Lokanath Swami